Guide to preventing ketosis and fatty liver in dairy cows

Fatty liver and ketosis are metabolic diseases that can affect dairy cows in late and early lactation. They can cause poor fertility and drops in milk yield.

Good management of dry cows is key to prevent both diseases.

John Fishwick, junior vice-president at the British veterinary Association (BVA), explains this should entail a good feeding during the transition phase as well as body condition scoring to ensure cows aren’t too fat at calving.

What is ketosis? 

It is a metabolic disease that normally occurs in dairy cows in the days and weeks immediately after calving in early lactation.

See also: Farms save twice ketosis cost when bolusing high-risk dry cows

Ketones are chemicals that are produced when cows lose weight as a result of fat breakdown. Where there is excessive or rapid weight loss, ketone levels in the blood may reach a level where the cow feels unwell, there is a reduction of milk yield and feed intake. This is clinical ketosis.

A high-yielding dairy cow is normally unable to eat enough food in the weeks after calving to make up for all the energy needs of her high milk yield.

So some breakdown of fat and loss of body condition in early lactation is almost unavoidable and we often see a slight or moderate increase in blood ketone levels at the same time. This is referred to as subclinical ketosis.

See also: Benefits of using an automatic body condition scoring camera

Next to the text, the page also holds data records:
┌──
# 1
Computed powder diffraction line list
Compound: Ca8Ti3Mn5O22
Radiation: CuKα
Structure: DFT lattice parameters and positions (GGA+U)

The 10 most intense peaks (5 to 70 degrees two-theta), in order of rising 2θ:
| 2theta | d [Å] | I_rel | index |
| --- | --- | --- | --- |
| 32.3 | 2.773 | 100 | 0 2 2 |
| 32.4 | 2.762 | 94 | 2 0 2 |
| 32.9 | 2.726 | 77 | 2 2 0 |
| 45.6 | 1.988 | 28 | 0 0 4 |
| 47.0 | 1.935 | 42 | 0 4 0 |
| 47.4 | 1.920 | 42 | 4 0 0 |
| 57.4 | 1.606 | 37 | 2 2 4 |
| 58.2 | 1.585 | 29 | 2 4 2 |
| 58.5 | 1.578 | 30 | 4 2 2 |
| 68.9 | 1.363 | 24 | 4 4 0 |

Cell and atoms:
Lattice parameters (Å, degrees): 7.679 7.740 7.951 90.00 90.00 90.00
Space group Pmm2 (No. 25)
Asymmetric unit:
Ca (0.231, 0.234, 0.000) x4
Ca (0.244, 0.264, 0.512) x4
Ti (0.500, 0.000, 0.288) x1
Ti (0.500, 0.000, 0.762) x1
Ti (0.500, 0.500, 0.276) x1
Mn (0.000, 0.000, 0.243) x1
Mn (0.000, 0.000, 0.748) x1
Mn (0.000, 0.500, 0.278) x1
Mn (0.000, 0.500, 0.766) x1
Mn (0.500, 0.500, 0.809) x1
O (0.000, 0.000, 0.493) x1
O (0.000, 0.000, 0.993) x1
O (0.000, 0.253, 0.768) x2
O (0.000, 0.259, 0.224) x2
O (0.000, 0.500, 0.526) x1
O (0.241, 0.500, 0.828) x2
O (0.247, 0.500, 0.298) x2
O (0.248, 0.000, 0.748) x2
O (0.288, 0.000, 0.184) x2
O (0.500, 0.000, 0.527) x1
O (0.500, 0.211, 0.869) x2
O (0.500, 0.252, 0.323) x2
O (0.500, 0.500, 0.053) x1
O (0.500, 0.500, 0.571) x1

# 2
Computed powder diffraction line list
Compound: AlV2O4
Radiation: CuKα
Structure: DFT lattice parameters and positions (GGA+U)

The 10 most intense peaks (5 to 70 degrees two-theta), in order of rising 2θ:
| 2theta | d [Å] | I_rel | index |
| --- | --- | --- | --- |
| 18.4 | 4.811 | 51 | 1 0 1 |
| 18.9 | 4.700 | 18 | 0 0 3 |
| 35.7 | 2.518 | 48 | 0 2 1 |
| 35.9 | 2.502 | 92 | 1 1 3 |
| 36.4 | 2.470 | 48 | 0 1 5 |
| 43.7 | 2.071 | 100 | 0 2 4 |
| 57.5 | 1.604 | 21 | 3 0 3 |
| 57.8 | 1.595 | 21 | 1 2 5 |
| 62.9 | 1.477 | 56 | 2 2 0 |
| 64.2 | 1.452 | 52 | 2 0 8 |

Cell and atoms:
Lattice parameters (Å, degrees): 5.9096 5.9096 14.1002 90.00 90.00 120.00
Space group R-3m (No. 166, hexagonal axes)
Asymmetric unit:
Al (0.0000, 0.0000, 0.1234) x6
V (0.0000, 0.0000, 0.5000) x3
V (0.0000, 0.5000, 0.0000) x9
O (0.0000, 0.0000, 0.2511) x6
O (0.0039, 0.5020, 0.7497) x18

Please write out number 1 again, unchanged.
Computed powder diffraction line list
Compound: Ca8Ti3Mn5O22
Radiation: CuKα
Structure: DFT lattice parameters and positions (GGA+U)

The 10 most intense peaks (5 to 70 degrees two-theta), in order of rising 2θ:
| 2theta | d [Å] | I_rel | index |
| --- | --- | --- | --- |
| 32.3 | 2.773 | 100 | 0 2 2 |
| 32.4 | 2.762 | 94 | 2 0 2 |
| 32.9 | 2.726 | 77 | 2 2 0 |
| 45.6 | 1.988 | 28 | 0 0 4 |
| 47.0 | 1.935 | 42 | 0 4 0 |
| 47.4 | 1.920 | 42 | 4 0 0 |
| 57.4 | 1.606 | 37 | 2 2 4 |
| 58.2 | 1.585 | 29 | 2 4 2 |
| 58.5 | 1.578 | 30 | 4 2 2 |
| 68.9 | 1.363 | 24 | 4 4 0 |

Cell and atoms:
Lattice parameters (Å, degrees): 7.679 7.740 7.951 90.00 90.00 90.00
Space group Pmm2 (No. 25)
Asymmetric unit:
└──

However, in a well-managed herd, this weight loss and the resulting rise in blood ketone levels should be minimal. Mild increases in ketone levels, as seen in subclinical ketosis, may cause quite subtle problems, which can be quite significant – reducing milk yield and lowering fertility, for example.

What is fatty liver?

Fatty liver disease occurs around late lactation, calving and in early lactation. This is normally only seen in dairy cows and is often closely linked to ketosis.

As part of the normal processes around calving there is a small amount of weight loss and fat stores are broken down. The fat is then carried in the blood to the liver, where it is processed. 

If there is a large amount of fat broken down, this can cause a large accumulation of fat in the liver.

The liver plays many important roles and when there is a large amount of fat deposited around calving time it can cause problems with the cow’s metabolism and immune systems. As with ketosis, we may see problems with milk yield and poor fertility.

What are the symptoms of fatty liver? 

In very severe cases of fat deposition in the liver there may be 80% or 90% of the liver fully occupied with fat and this effectively causes liver failure. This is called fat cow syndrome, which is a very severe form of fatty liver disease.

In these cases cows may go down and have severe uterine infections (metritis), mastitis, loss of yield and be unable to eat. In many cases they will never recover.

How can you prevent fatty liver and ketosis?

The key to preventing ketosis and fatty liver disease is excellent management of cows and their feeding in the late dry period and early lactation.

Ideally this would entail a smooth transition with no sudden changes in management or feeding over this period.

Good feeding over the transition period requires expert advice and careful management. Although milking cows are of course fed differently to dry cows, the changes should be gradual and where possible, the types of food fed should be largely the same, although quantities and the minerals used may change.

It is also very important not to have cows too fat at the point of calving, otherwise this will encourage fatty liver disease and ketosis.

Try to dry cows off at condition score 3 and keep them in the same condition during the dry period. Trying to make cows slim down during the dry period can be disastrous as it encourages the process of fat mobilisation.  

It can be very helpful to monitor weight loss and blood levels of ketosis in freshly calved dairy cows. One option is to take blood samples from a representative group of freshly calved cows to monitor their ketone levels.

Milk-based tests to measure ketones are also available. If the results show significant increases then it can alert you to the fact that feeding and management changes should be considered. Monitoring body condition scores is also very important.

One suggestion is to measure the body condition score of a group of dry cows and compare this with that in a group of cows calved about two weeks. A drop of half a condition score point or more in those two weeks suggests there is excessive weight loss and action needs to be taken.

Ketones can often be used to monitor the effectiveness of the diet as discussed above, but in more severe cases, ketones reach much higher levels and can cause clinical ketosis, making the cow unwell.

In these cases the cow may recover with simple treatment over time, although there is likely to be significant knock-on effects in terms of production.

However, if rapid improvement is not seen, the clinical ketosis may be due to another underlying cause. A common example is a displaced abomasum (also known as a twisted stomach), so it is very important to get these cows investigated before they deteriorate further.